To do
What is needed: quote the lines below up to the one that holds "2.134", that line included.
Data
- - -
Record 1
Tm2Ge2Au: theoretical powder diffraction line list (Cu Kα (weighted mean of Kα1 and Kα2)), based on DFT lattice parameters and positions (GGA-PBE).
No peak broadening, texture or thermal motion is included.

a = 7.022 Å, b = 7.022 Å, c = 4.224 Å
α = 90.00°, β = 90.00°, γ = 90.00°
Space group P4/mbm (No. 127)
Unique sites:
Tm1 0.175 0.325 0.000 x4
Ge1 0.128 0.628 0.500 x4
Au1 0.000 0.000 0.500 x2

The 12 most intense peaks (2θ = 10–80°), by angle:
| 2theta | d/Å | Rel. int. | (hkl) |
| --- | --- | --- | --- |
| 27.7 | 3.217 | 29.4 | 1 1 1 |
| 28.4 | 3.140 | 13.0 | 2 1 0 |
| 33.2 | 2.700 | 73.8 | 2 0 1 |
| 35.6 | 2.520 | 100.0 | 2 1 1 |
| 36.2 | 2.483 | 19.1 | 2 2 0 |
| 40.6 | 2.221 | 51.9 | 3 1 0 |
| 42.8 | 2.112 | 28.6 | 0 0 2 |
| 58.4 | 1.580 | 16.7 | 4 1 1 |
| 60.0 | 1.541 | 17.9 | 3 3 1 |
| 60.5 | 1.530 | 32.3 | 3 1 2 |
| 72.1 | 1.309 | 14.5 | 5 1 1 |
| 73.7 | 1.285 | 12.0 | 2 1 3 |

---

Record 2
Nd2Mg3Zn3: theoretical powder diffraction line list (Cu Kα (weighted mean of Kα1 and Kα2)), based on DFT lattice parameters and positions (GGA-PBE).
No peak broadening, texture or thermal motion is included.

a = 4.9990 Å, b = 4.9990 Å, c = 24.5628 Å
α = 90.00°, β = 90.00°, γ = 120.00°
Space group R3m (No. 160, hexagonal axes)
Unique sites:
Nd1 0.0000 0.0000 0.0000 x3
Nd2 0.0000 0.0000 0.4891 x3
Mg1 0.0000 0.0000 0.2411 x3
Mg2 0.0000 0.0000 0.6177 x3
Mg3 0.0000 0.0000 0.7464 x3
Zn1 0.0000 0.0000 0.1211 x3
Zn2 0.0000 0.0000 0.3646 x3
Zn3 0.0000 0.0000 0.8738 x3

The 12 most intense peaks (2θ = 10–80°), by angle:
| 2theta | d/Å | Rel. int. | (hkl) |
| --- | --- | --- | --- |
| 21.8 | 4.086 | 41.3 | 0 0 6 |
| 25.2 | 3.538 | 3.6 | 1 0 4 |
| 35.9 | 2.502 | 100.0 | 1 1 0 |
| 42.4 | 2.134 | 21.1 | 1 1 6 |
| 51.7 | 1.769 | 16.8 | 2 0 8 |
| 56.6 | 1.625 | 3.9 | 0 1 14 |
| 56.8 | 1.622 | 4.7 | 1 2 2 |
| 64.4 | 1.447 | 7.2 | 1 0 16 |
| 64.6 | 1.444 | 25.7 | 3 0 0 |
| 69.0 | 1.361 | 4.8 | 3 0 6 |
| 76.0 | 1.252 | 4.3 | 0 2 16 |
| 76.2 | 1.250 | 5.4 | 2 2 0 |

---

Record 3
KTcMo2: theoretical powder diffraction line list (Cu Kα (weighted mean of Kα1 and Kα2)), based on DFT lattice parameters and positions (GGA-PBE).
No peak broadening, texture or thermal motion is included.

a = 2.921 Å, b = 3.946 Å, c = 8.096 Å
α = 90.00°, β = 95.62°, γ = 90.00°
Space group P2/m (No. 10)
Unique sites:
K1 0.000 0.000 0.000 x1
Tc1 0.000 0.000 0.500 x1
Mo1 0.463 0.500 0.644 x2

The 12 most intense peaks (2θ = 10–80°), by angle:
| 2theta | d/Å | Rel. int. | (hkl) |
| --- | --- | --- | --- |
| 11.0 | 8.057 | 100.0 | 0 0 1 |
| 22.1 | 4.029 | 6.1 | 0 0 2 |
| 31.7 | 2.819 | 17.6 | 0 1 2 |
| 36.3 | 2.475 | 9.0 | 1 0 -2 |
| 38.5 | 2.340 | 32.2 | 1 1 0 |
| 39.2 | 2.297 | 5.7 | 1 1 -1 |
| 40.6 | 2.220 | 14.2 | 0 1 3 |
| 41.0 | 2.201 | 11.2 | 1 1 1 |
| 43.6 | 2.077 | 6.5 | 1 0 -3 |
| 46.0 | 1.973 | 9.8 | 0 2 0 |
| 47.4 | 1.917 | 5.3 | 0 2 1 |
| 50.9 | 1.794 | 12.6 | 0 1 4 |

---

Record 4
K2S5: theoretical powder diffraction line list (Cu Kα (weighted mean of Kα1 and Kα2)), based on DFT lattice parameters and positions (GGA-PBE).
No peak broadening, texture or thermal motion is included.

a = 6.576 Å, b = 6.612 Å, c = 18.758 Å
α = 90.00°, β = 90.00°, γ = 90.00°
Space group P2_12_12_1 (No. 19)
Unique sites:
K1 0.063 0.155 0.071 x4
K2 0.175 0.606 0.760 x4
S1 0.047 0.311 0.564 x4
S2 0.068 0.301 0.901 x4
S3 0.148 0.004 0.881 x4
S4 0.166 0.839 0.206 x4
S5 0.167 0.677 0.112 x4

The 12 most intense peaks (2θ = 10–80°), by angle:
| 2theta | d/Å | Rel. int. | (hkl) |
| --- | --- | --- | --- |
| 19.6 | 4.529 | 52.8 | 1 1 1 |
| 23.8 | 3.738 | 19.0 | 1 1 3 |
| 27.0 | 3.306 | 42.1 | 1 1 4 |
| 27.5 | 3.239 | 34.1 | 2 0 1 |
| 28.6 | 3.126 | 50.4 | 0 0 6 |
| 28.8 | 3.103 | 25.7 | 2 0 2 |
| 30.6 | 2.922 | 100.0 | 0 2 3 |
| 30.7 | 2.910 | 27.4 | 2 0 3 |
| 31.7 | 2.826 | 20.3 | 0 1 6 |
| 31.8 | 2.812 | 50.6 | 2 1 2 |
| 34.5 | 2.597 | 17.2 | 1 1 6 |
| 38.9 | 2.315 | 28.1 | 2 1 5 |

---

Record 5
- - -
Response
Record 1
Tm2Ge2Au: theoretical powder diffraction line list (Cu Kα (weighted mean of Kα1 and Kα2)), based on DFT lattice parameters and positions (GGA-PBE).
No peak broadening, texture or thermal motion is included.

a = 7.022 Å, b = 7.022 Å, c = 4.224 Å
α = 90.00°, β = 90.00°, γ = 90.00°
Space group P4/mbm (No. 127)
Unique sites:
Tm1 0.175 0.325 0.000 x4
Ge1 0.128 0.628 0.500 x4
Au1 0.000 0.000 0.500 x2

The 12 most intense peaks (2θ = 10–80°), by angle:
| 2theta | d/Å | Rel. int. | (hkl) |
| --- | --- | --- | --- |
| 27.7 | 3.217 | 29.4 | 1 1 1 |
| 28.4 | 3.140 | 13.0 | 2 1 0 |
| 33.2 | 2.700 | 73.8 | 2 0 1 |
| 35.6 | 2.520 | 100.0 | 2 1 1 |
| 36.2 | 2.483 | 19.1 | 2 2 0 |
| 40.6 | 2.221 | 51.9 | 3 1 0 |
| 42.8 | 2.112 | 28.6 | 0 0 2 |
| 58.4 | 1.580 | 16.7 | 4 1 1 |
| 60.0 | 1.541 | 17.9 | 3 3 1 |
| 60.5 | 1.530 | 32.3 | 3 1 2 |
| 72.1 | 1.309 | 14.5 | 5 1 1 |
| 73.7 | 1.285 | 12.0 | 2 1 3 |

---

Record 2
Nd2Mg3Zn3: theoretical powder diffraction line list (Cu Kα (weighted mean of Kα1 and Kα2)), based on DFT lattice parameters and positions (GGA-PBE).
No peak broadening, texture or thermal motion is included.

a = 4.9990 Å, b = 4.9990 Å, c = 24.5628 Å
α = 90.00°, β = 90.00°, γ = 120.00°
Space group R3m (No. 160, hexagonal axes)
Unique sites:
Nd1 0.0000 0.0000 0.0000 x3
Nd2 0.0000 0.0000 0.4891 x3
Mg1 0.0000 0.0000 0.2411 x3
Mg2 0.0000 0.0000 0.6177 x3
Mg3 0.0000 0.0000 0.7464 x3
Zn1 0.0000 0.0000 0.1211 x3
Zn2 0.0000 0.0000 0.3646 x3
Zn3 0.0000 0.0000 0.8738 x3

The 12 most intense peaks (2θ = 10–80°), by angle:
| 2theta | d/Å | Rel. int. | (hkl) |
| --- | --- | --- | --- |
| 21.8 | 4.086 | 41.3 | 0 0 6 |
| 25.2 | 3.538 | 3.6 | 1 0 4 |
| 35.9 | 2.502 | 100.0 | 1 1 0 |
| 42.4 | 2.134 | 21.1 | 1 1 6 |